Saturday, May 3, 2014

The offshoring cost delusion

At face-value it is always going to be more cost-effective to perform labour, irrespective of the industry, in countries where the labour cost is cheaper. It’s a fact that is hard to argue against, almost impossible really, and it has been happening for years in a large number of industries such as manufacturing and banking. If you can charge out a resource at a third of the price of an onshore resource then it is a compelling proposition not just for you, but for your customers as well. With respect to IT, offshoring managed service work, packaged software implementations, helpdesk and call centre operations (the kind of work that is highly governed by prescriptive processes and is accompanied with numerous repeatable, measurable steps i.e. no need to “think” so much as to just “do”) it usually will be. That’s the proposal being sold by companies that can offshore and you really you can’t argue with it. But when that same line is used for bespoke software development the situation is different. Very different.

Bespoke application development requires a number of different set of skills and qualities – that aren’t just confined to an organisations or teams competencies with a given set of technologies required to deliver a solution. It requires you to think laterally, logically, and in entirety with respect to the solution being built. You need to be able to think outside the box to get things done, either as a developer, tester or architect – there are no distinctions. This is because there are always some grey areas and hurdles to overcome and that means it can be unpredictable. So therefore a lot of what governs and underpins your ability to deliver successfully is the processes that prescribe how you identify, resolve and future-proof these areas of uncertainty.

In the bad old days of waterfall this uncertainty would always freak people out and because you released in a “big bang”, the architecture and design tended to be gold-plated inside and out from the start (whether it was always necessary to do this or not), and it would be accompanied by endless reams of documentation that would get reviewed once, and then get dropped somewhere in a CMS never to see the light of day again. The really big waterfall projects would hardly ever make a delivery date due to the big bang approach of deployments as getting it installed correctly in the testing and production environments could waste days/weeks getting everything configured and integrated. Then Agile came along and we started to see the light that little bit better by releasing smaller and building integrity into the product.

When application development work started to get moved offshore in Australia around the early 2000’s, thanks to a big push from the banks and the big telcos, every problem we faced doing traditional waterfall got exacerbated because, despite the best efforts of the onshore teams, the offshore teams would struggle to understand every requirement due to the highly complex nature of the systems that had been produced. Architecture gold-plating (because of the big bang unpredictability), and the need to wade through all the documentation to understand what the hell was going on, confused people a great deal. It would take months to understand it all and the offshore teams were (stupidly) expected to come up to speed in a matter of weeks – as promised by the glittering powerpoint presentations of their high-end consultants. They never did of course – no-one could, and a big part of the “sell” of these big offshoring companies, which was their sophisticated training centres that claimed they could train up resources to meet demand anywhere in the world, sounded as ridiculous now as it did then.  

I worked on a project such as this once, here is my story

The architecture of the system I worked on was highly complex. Ridiculously so. It was probably the worst candidate for a system to be offshored that I have seen in all my years working in IT. When the system was first transitioned offshore it collapsed in spectacular fashion because the offshore teams did not have the domain nor the extensive technology experience to implement or understand the system and how to change, enhance and support it correctly. This caused all the delivery dates for new initiatives to be missed, everyone worked late nights and after a few months the hatred towards the company, management and the poor offshore resources themselves (who were doing their best), by the onshore resources was not even trying to be kept hidden. The client was furious at the missed dates and the costs blew out badly. In this early stage numerous people had to travel to India to rescue the project at great cost to the company. In short every promise of improved quality, productivity and cost was broken.
As the onshore teams got so badly burnt by the late nights making up for offshores mistakes, it decreased workplace morale and to make matters worse, the company started cutting costs due to compensate for the project cost blowouts as the schedules started to get missed as the money wasn’t coming in. Even beers on Fridays were cancelled (in an Australian work-force that is like inviting mutiny upon yourself), and morale got worse and worse.

**Inserted here: calculated molecules**
=====
ORCA calculation (ωB97M-V/def2-TZVPD) on an isolated molecule of C3H8S2.

The lowest unoccupied orbital energy comes out at 0.89 eV. For the energy, the calculation gives -24911.151 eV. For the energy relative to the best compared isomer or geometry (same formula, charge and spin), the calculation gives 5.7 kcal per mole. The highest occupied orbital energy comes out at -0.320 Eh. Its SMILES is CCSSC.

Last column: Löwdin charge in e.
Geometry (Å):
C -0.23 -0.37 -2.66  -0.1881
C 0.71 0.01 -1.53  -0.5723
S 0.31 -0.94 0.01  0.4379
S 0.28 0.44 1.47  0.4023
C -1.36 1.23 1.47  -0.4619
H 0.10 -1.21 -3.27  0.0691
H -0.26 0.48 -3.37  0.0742
H -1.24 -0.50 -2.28  0.0587
H 1.75 -0.23 -1.75  0.0586
H 0.56 1.05 -1.23  0.0507
H -1.66 1.20 2.52  0.0194
H -1.30 2.26 1.13  0.0224
H -2.10 0.64 0.94  0.0292


ORCA calculation (ωB97M-V/def2-TZVPD) on a structure of composition C22H20O6OsSi.

As for the spin multiplicity: 5. The lowest unoccupied orbital energy (spin up / spin down) comes out at -6.49 / -11.12 eV. Its total charge is +2. For the energy, the calculation gives -45750.868 eV. For the energy relative to the best compared isomer or geometry (same formula, charge and spin), the calculation gives 21.2 kcal per mole. The highest occupied orbital energy (spin up / spin down) comes out at -0.520 / -0.520 Eh.

Last column: Löwdin charge in e.
Geometry (Å):
Os 1.54 0.08 -1.34  1.6620
O -1.33 -0.35 -4.55  0.2098
C -0.36 -0.30 -3.69  -0.4653
O -0.29 0.49 -2.76  0.0317
C 0.70 -1.36 -3.93  -0.0356
O 1.86 -1.08 -3.13  -0.2609
C 3.03 -0.56 -3.84  -0.0175
C 3.24 0.92 -3.51  -0.5402
O 3.91 1.63 -4.18  0.1875
O 2.62 1.29 -2.38  -0.1977
H -2.01 0.32 -4.36  0.1684
H 0.30 -2.33 -3.61  0.1660
H 0.95 -1.41 -4.98  0.1586
H 3.88 -1.13 -3.50  0.1571
H 2.90 -0.69 -4.92  0.1487
O 0.50 -1.25 -0.36  -0.4219
Si -0.25 -0.33 0.77  0.4587
C -2.09 -0.22 0.68  -0.1628
C -2.80 -1.22 0.00  0.0351
C -4.18 -1.18 -0.05  0.0443
C -4.87 -0.16 0.59  0.0084
C -4.18 0.83 1.29  0.0557
C -2.80 0.79 1.35  0.0279
C 0.75 1.25 0.52  -0.3301
C 2.16 1.12 0.67  -0.2016
C 3.00 2.24 0.52  -0.0499
C 2.46 3.46 0.21  -0.0209
C 1.06 3.61 0.06  -0.0263
C 0.22 2.53 0.21  -0.0801
C -0.09 -1.11 2.48  -0.2156
C 0.01 -2.53 2.58  -0.0882
C 0.19 -3.12 3.80  -0.0641
C 0.18 -2.31 4.96  -0.0311
C 0.01 -0.91 4.89  -0.0672
C -0.17 -0.33 3.67  -0.0981
H -2.27 -2.02 -0.50  0.1366
H -4.73 -1.94 -0.59  0.1434
H -5.95 -0.13 0.56  0.1342
H -4.72 1.62 1.80  0.1472
H -2.27 1.56 1.90  0.1337
H 2.58 0.21 1.11  0.1235
H 4.07 2.13 0.65  0.1307
H 3.10 4.32 0.09  0.1299
H 0.65 4.58 -0.17  0.1257
H -0.85 2.66 0.08  0.1057
H 0.01 -3.13 1.68  0.1015
H 0.33 -4.18 3.89  0.1153
H 0.28 -2.78 5.93  0.1130
H 0.01 -0.33 5.80  0.1147
H -0.32 0.74 3.60  0.0998

----------
=====

Down the rabbit hole of fail we go....

Because the offshore teams were failing so badly, causing much finger pointing and blaming on both sides of the fence, the architects and designers (under a considerable amount of pressure) started to gold-plate their systems and designs even more to remove any traces of ambiguity – and to cover themselves in the face of any management wrath. The designs became so complex that one of the architects years later remarked, “we made it so generic it actually became unusable”! As a result estimates to deliver the software doubled, even tripled, to compensate for the delivery problems as no-one was crazy enough to make promises based on the pre-offshoring days estimates.

The client started to get even more upset at the cost blowouts (because they were promised things would get cheaper) and managers, who had already worn out any goodwill to their architects and tech-leads could not get anyone to budge on estimates so under pressure they started over-promising to the clients hoping, praying, things would improve.

And of course they didn’t.

Now in a total panic senior company management implemented more knee-jerk responses to stem the cost bleeding because they were losing control. To appease investors alarmed at the spiralling costs they made even more cutbacks and produced lots of spin both internally and externally to paint a better picture of the situation in an attempt to “sell” the new offshore delivery model and pretend things were going well. This was of course in total contrast to the experience on the ground and made the whole situation even worse as it bred a massive amount of contempt amongst those doing the work. Even anonymous blogs were created that mocked the company and told many home truths that the company scrambled to get shut down and blocked by ISP and network providers! The environment became incredibly toxic and hostile and people left the company in droves fed up with how badly everything got managed. Those that were left jumped back on the plane for extended stays in India but then had to fight tooth and nail to claim back expenses incurred as the company kept cutting more and more corners to compensate for cost-blowouts requiring digging into more and more capital.

It was an absolute nightmare and mis-managed from the top to the bottom. The initial cost-cutting set the scene for failure and as we went further down the spiral more cost cutting just exacerbated the issues.

So how do you get it to work?

There is a lot of literature and great publications now around the DevOps movement. A movement borne out of Agile to wholly integrate development and operations into a single functioning flow-through work process that enables fast and quick integration of code, automation of virtually everything and continuous one-click deployments to name but a few desirable capabilities. If you aren’t DevOps capable don’t even think about doing bespoke application delivery out of another country. For a start you can’t be as Agile as you can be onshore so you’re already at a disadvantage when it comes to team collaboration and working closely with the business. Also if offshore start spruiking the cheaper labour costs as a reason to not investing up-front in DevOps practices such as automation testing, code quality checking, continuously deployable pipelines and coded-infrastructure as they’ll just “assign cheaper resources to review and validate manually” then start scanning the job classifieds because you are going to go down.

# C3H5GdO3

C3H5GdO3 as an isolated structure (wB97M-V/def2-TZVPD, the OMol25 dataset).

The geometry in XYZ format:
```
12
C3H5GdO3, DFT wB97M-V/def2-TZVPD
H 2.123 -3.476 -0.088
O 0.175 -3.065 -0.323
C 1.078 -3.796 0.061
H 0.839 -4.741 0.572
O 0.078 0.052 -0.234
Gd -0.485 -1.505 -2.042
O -0.672 1.252 -0.394
C -0.176 2.314 0.200
C -1.047 3.292 0.571
H 0.884 2.239 0.461
H -0.672 4.303 0.714
H -2.123 3.130 0.502
```

Computed properties:
Frontier orbital gap (alpha / beta) (eV): 8.59 / 6.05
HOMO level (alpha / beta) (eV): -22.85 / -23.24
Net charge: +3
E (Eh): -1107.25187
Expectation value of S²: 20.46
Multiplicity: 9

Here are the Mulliken charges for atoms 1 to 8, given in e:
1 H 0.276
2 O -0.448
3 C 0.085
4 H 0.308
5 O -0.376
6 Gd 2.092
7 O 0.124
8 C 0.319

* * * * *

{
  "formula": "C17H41InN2OP2",
  "method": "the ωB97M-V functional and the def2-TZVPD basis",
  "gap_ha": [0.1746, 0.1757],
  "energy_ha": -1729.22949,
  "lumo_energy_ev": [-7.496, -7.492],
  "homo_ev": [-12.246, -12.273],
  "mol_weight_g_mol": 466.3,
  "total_charge": 2,
  "species": ["H", "In", "C", "H", "C", "H", "H", "H", "C", "H", "H", "H", "H", "H", "P", "H", "C", "N", "C", "H", "H", "H", "C", "P", "H", "H", "C", "C", "O", "H", "H", "C", "H", "H", "H", "H", "H", "H", "H", "H", "C", "H", "H", "H", "H", "C", "H", "C", "H", "H", "H", "C", "H", "N", "H", "C", "C", "H", "H", "C", "H", "H", "C", "H"],

Move it all to the cloud and automate the shit out of it

You have to invest in your offshore delivery centres, moreso than onshore and you have to do it well. For a start avoid physical infrastructure and put all your development and testing in the cloud. Before you do that ensure all your servers and environments are coded up. That means you can restore and rebuild entire environments from the click of a button. It is not impossible, yes it will take time, but the long term benefits will protect and insure you against failure. This must be completed and in-place weeks before development even starts so the environments are completed, properly monitored, tested and cost-forecasted.

Hire properly offshore

No graduates.

If the people on your delivery project do not have a minimum of 5 years technical delivery experience then do not hire them. In some countries there is a culture of “it’s okay, they got good marks, they’ll learn as they go” and in IT this theory simply does not work. You need delivery experience, you need to be technically proficient and you need to have experience working with other cultures in other countries. Good people cost money, offshore is no different, but offshore it is even more critical because you really need smart and motivated people that can think on their feet.

Automate quality checking to the nth degree

And that means everything. Unit Test Code coverage above 90%, code metrics checking for cyclomatic complexity, lines of code, class coupling, maintainability and anything else you can throw at it. This all has to be automated on check-in. Furthermore database script changes should be tested against database rebuilds, selective automation test execution for critical end-to-end functions should also be thrown in.

Use code reporting tools in conjunction with build and code management software as much as you can. Produce reports and get them delivered to delivery managers daily so they can see how things are tracking.

Test the hell out of it often

Full suite of automation testing should run every night. As a minimum. Automation testers should start on day one as should DevOps people. No project should be without this. The capability to extend and support must work hand-in-glove with development and functional testing to amplify the feedback loops and keep everything rigorously tested

Get onshore and offshore passports and visa’s ready

____________
This record from OMol25 describes a 4-piece molecular cluster, C19H28NO14 overall in a non-equilibrium geometry. The level of theory is wB97M-V/def2-TZVPD.

Values from the calculation:
Lowest unoccupied orbital energy ... 0.0796 hartree

```
! wB97M-V def2-TZVPD RIJCOSX def2/J DEFGRID3
* xyz -1 1
C 0.972 -3.398 -1.217
C 2.186 -2.897 -0.320
O 2.996 -3.769 0.109
O 2.480 -1.546 0.026
C 1.354 -0.676 -0.135
O 0.240 -0.883 0.425
C 1.526 0.660 -1.024
N 1.209 0.486 -2.465
C -0.145 -0.104 -2.693
C 2.295 -0.328 -3.085
C 2.262 -0.371 -4.689
O 3.275 -0.923 -5.262
O 1.263 0.170 -5.472
H -0.015 -3.191 -0.657
H 1.066 -4.512 -1.497
H 0.873 -2.839 -2.221
H 0.928 1.530 -0.565
H 2.634 0.974 -0.912
H -0.818 -0.072 -1.767
H -0.053 -1.146 -3.155
H -0.677 0.550 -3.485
H 2.360 -1.403 -2.687
H 3.301 0.165 -2.804
C -3.681 -0.758 3.365
C -3.843 -1.623 2.134
C -3.313 -3.018 2.304
O -2.935 -3.370 0.981
C -2.650 -2.204 0.331
O -2.114 -2.139 -0.735
O -3.052 -1.126 1.059
H -2.626 -0.549 3.564
H -4.166 0.210 3.212
H -4.124 -1.230 4.245
H -4.890 -1.630 1.811
H -4.073 -3.705 2.683
H -2.430 -3.075 2.948
C 4.292 0.627 4.324
C 3.552 -0.664 4.602
C 2.617 -1.070 3.501
O 1.613 -1.797 4.200
C 1.594 -1.316 5.474
O 0.741 -1.564 6.278
O 2.669 -0.512 5.711
H 3.607 1.480 4.316
H 5.021 0.821 5.114
H 4.820 0.585 3.369
H 4.262 -1.463 4.838
H 3.104 -1.704 2.758
H 2.145 -0.224 2.991
C -2.967 4.826 -4.366
C -2.292 3.852 -3.424
C -2.540 4.149 -1.973
O -1.370 3.641 -1.348
C -0.374 3.689 -2.281
O 0.783 3.521 -2.042
O -0.875 3.958 -3.519
H -2.524 5.823 -4.286
H -2.827 4.506 -5.402
H -4.039 4.894 -4.168
H -2.575 2.825 -3.675
H -3.430 3.641 -1.593
H -2.620 5.218 -1.751
*
```

This record from OMol25 describes C19H28NPSr as an isolated structure in a non-equilibrium geometry. The level of theory is wB97M-V/def2-TZVPD.

Values from the calculation:
ΔE to the lowest compared entry with this formula, charge and spin ... 91.74 kcal per mole
Lowest unoccupied orbital energy (spin up / spin down) ... -0.0502 / -0.0605 hartree

```
! wB97M-V def2-TZVPD RIJCOSX def2/J DEFGRID3
* xyz 0 1
C -2.420 0.746 -3.492
C -2.243 -0.484 -2.874
C -1.526 -0.532 -1.659
C -1.127 0.657 -1.165
C -1.194 1.864 -1.747
C -1.905 1.930 -2.949
C -1.302 -1.880 -0.921
C 0.153 -2.416 -0.774
N 1.264 -1.468 -0.628
Sr 0.232 0.021 0.772
C -0.465 3.112 -1.139
P 1.219 2.594 -0.634
H -2.639 -1.435 -3.297
H -2.015 2.914 -3.446
H -2.971 0.794 -4.423
H -0.984 3.460 -0.236
H -0.361 3.910 -1.871
H -1.769 -1.843 0.098
H -1.818 -2.663 -1.471
H 0.187 -3.075 0.103
C 1.919 3.861 0.475
C 2.195 2.585 -2.177
H 0.446 -2.962 -1.676
C 1.773 -0.864 -1.842
C 2.312 -1.914 0.303
H -0.439 2.039 1.735
H 2.266 -1.702 -2.354
H 0.953 -0.467 -2.453
H 2.512 -0.073 -1.630
H 2.889 -2.660 -0.273
H 2.982 -1.113 0.624
H 1.871 -2.385 1.201
H 2.197 3.631 -2.530
H 3.220 2.209 -1.934
H 1.719 1.887 -2.905
H 2.061 4.760 -0.140
H 1.215 4.011 1.313
H 2.875 3.461 0.866
H 1.844 0.613 2.144
C -1.875 -2.386 4.881
C -1.399 -3.213 3.878
C -0.783 -2.675 2.683
C -0.732 -1.309 2.625
____________

People need to travel and they need to travel often. If you want to have any hope of doing offshore delivery successfully you have to do this. There should be back and forth travel occurring every two weeks for the duration of the project. Extended stays should not happen, two-week stints are enough. This will ensure the teams are always working together and avoids the “us and them” situation from occurring. The more people work together, the better they work together and travel should be happening from the topmost level of PM’s through to the low level.

Do not avoid doing this. Do not think that travel at the start of the project to cement the understanding is all that is needed with travel at the end catered for to “bring it all home”. This does not work because there is all that time in the middle where the problems occur. I have seen this situation occur numerous times.


Cost-cutting up-front without investing properly in transitioning, training, infrastructure etc… is incredibly stupid when offshoring application development and it is even more disastrous when performed on projects in-flight when things start to go bad. Offshoring is not going to be cheap in the short term, and it is not going to be cheap in the long-term if you try and cut corners. You have to invest and invest heavily to get it to work from day zero in every area.

In my experience the developers, testers, DevOps and architects (mostly) get the need for all this extra overhead, both onshore and offshore. And it is not a one-off thing. Doing this is a cycle of investment, from project to project, that must be repeated constantly, to refine and enhance so that you delivery standards are continuously improved. The first project will be the worst, it will cost you way more than you planned but if you stick with it and maintain the investment and support the costs will start to come down. You have to retain this focus, the more you keep up the focus on ever improving quality the faster and faster you will get. Doing bespoke application delivery between countries is not easy and it is not, and never will be, fundamentally cheaper. As soon as you realise this, and budget your projects accordingly to address it, you will have a hope of succeeding.